== Given ==
-- begin --
BaMgMo4O8: calculated XRD peak list (Cu Kα X-rays), based on a DFT-relaxed cell (GGA+U, Alexandria).
Peak positions follow from Bragg's law for the DFT cell and can differ from measured ones.

Peak list (10 most intense, 10° ≤ 2θ ≤ 90°, by angle)
21.68 deg, I = 244, (1 0 1); 24.41 deg, I = 122, (0 0 2); 30.43 deg, I = 720, (1 0 2); 31.25 deg, I = 1000, (1 1 0); 36.98 deg, I = 152, (0 0 3); 44.19 deg, I = 295, (2 0 2); 49.18 deg, I = 191, (1 1 3); 55.11 deg, I = 294, (2 1 2); 55.63 deg, I = 270, (3 0 0); 60.18 deg, I = 225, (2 -1 4)

Atomic structure:
Cell: 5.7236 5.7236 7.2923 Å, 90.00 90.00 120.00°
Positions (direct):
Ba (0.0000, 0.0000, 0.0000)
Mg (0.0000, 0.0000, 0.5000)
Mo (0.3333, 0.6667, 0.2819)
Mo (0.3333, 0.6667, 0.7181)
Mo (0.6667, 0.3333, 0.2819)
Mo (0.6667, 0.3333, 0.7181)
O (0.0000, 0.2929, 0.3218)
O (0.0000, 0.7071, 0.6782)
O (0.2929, 0.0000, 0.3218)
O (0.2929, 0.2929, 0.6782)
O (0.3333, 0.6667, 0.0000)
O (0.6667, 0.3333, 0.0000)
O (0.7071, 0.0000, 0.6782)
O (0.7071, 0.7071, 0.3218)


Entry 1:
# TiS2
Theoretical X-ray powder pattern, λ = 1.5418 Å (Cu Kα). Input: a crystal structure in the Materials Project, relaxed with PBE.

Crystal structure
```
data_TiS2
_chemical_formula_sum 'Ti3 S6'
_cell_length_a 3.4096
_cell_length_b 3.4096
_cell_length_c 25.8319
_cell_angle_alpha 90.00
_cell_angle_beta 90.00
_cell_angle_gamma 120.00
_symmetry_space_group_name_H-M 'R -3 m'
_symmetry_Int_Tables_number 166
_symmetry_space_group_name_Hall '-R 3 2"'
loop_
_atom_site_label
_atom_site_fract_x
_atom_site_fract_y
_atom_site_fract_z
Ti1 0.0000 0.0000 0.0000
S1 0.0000 0.0000 0.3885
```

The 6 most intense peaks (15° ≤ 2θ ≤ 90°), in order of rising 2θ:
| d/Å | intensity | index |
| --- | --- | --- |
| 2.878 | 42 | 0 1 2 |
| 2.564 | 100 | 0 1 5 |
| 2.179 | 49 | 0 1 8 |
| 1.944 | 32 | 1 0 10 |
| 1.705 | 28 | 1 1 0 |
| 1.672 | 26 | 1 1 3 |

Entry 2:
# Li2TiTe3O12
Theoretical X-ray powder pattern, λ = 1.5418 Å (Cu Kα). Input: a crystal structure in the Materials Project, relaxed with PBE.

Crystal structure
```
data_Li2TiTe3O12
_chemical_formula_sum 'Li4 Ti2 Te6 O24'
_cell_length_a 7.080
_cell_length_b 8.521
_cell_length_c 7.296
_cell_angle_alpha 90.00
_cell_angle_beta 92.65
_cell_angle_gamma 90.00
_symmetry_space_group_name_H-M 'P 1 2 1'
_symmetry_Int_Tables_number 3
loop_
_symmetry_equiv_pos_as_xyz
'x,y,z'
'-x,y,-z'
loop_
_atom_site_label
_atom_site_fract_x
_atom_site_fract_y
_atom_site_fract_z
Li1 0.000 0.000 0.000
Li2 0.000 0.448 0.500
Li3 0.266 0.326 0.757
Ti1 0.260 0.249 0.253
Te1 0.000 0.066 0.500
Te2 0.000 0.559 0.000
Te3 0.249 0.753 0.750
Te4 0.500 0.068 0.000
Te5 0.500 0.562 0.500
O1 0.016 0.735 0.190
O2 0.053 0.408 0.191
O3 0.056 0.082 0.247
O4 0.190 0.235 0.515
O5 0.196 0.904 0.555
O6 0.229 0.581 0.557
O7 0.267 0.580 0.938
O8 0.294 0.221 0.987
O9 0.298 0.906 0.945
O10 0.451 0.406 0.317
O11 0.453 0.085 0.254
O12 0.487 0.730 0.308
```

The 6 most intense peaks (15° ≤ 2θ ≤ 90°), in order of rising 2θ:
| d/Å | intensity | index |
| --- | --- | --- |
| 4.437 | 48 | 1 1 -1 |
| 4.288 | 100 | 1 1 1 |
| 2.769 | 33 | 0 2 2 |
| 2.721 | 32 | 2 2 0 |
| 2.492 | 16 | 1 3 -1 |
| 1.770 | 22 | 4 0 0 |

Entry 3:
# RbYSe2O6
Theoretical X-ray powder pattern, λ = 1.5418 Å (Cu Kα). Input: a crystal structure in the Materials Project, relaxed with PBE.

Crystal structure
```
data_RbYSe2O6
_chemical_formula_sum 'Rb4 Y4 Se8 O24'
_cell_length_a 14.028
_cell_length_b 5.862
_cell_length_c 8.950
_cell_angle_alpha 90.00
_cell_angle_beta 90.00
_cell_angle_gamma 90.00
_symmetry_space_group_name_H-M 'P n m a'
_symmetry_Int_Tables_number 62
loop_
_symmetry_equiv_pos_as_xyz
'x,y,z'
'-x,-y,-z'
'-x+1/2,-y,z+1/2'
'x+1/2,y,-z+1/2'
'x+1/2,-y+1/2,-z+1/2'
'-x+1/2,y+1/2,z+1/2'
'-x,y+1/2,-z'
'x,-y+1/2,z'
loop_
_atom_site_label
_atom_site_fract_x
_atom_site_fract_y
_atom_site_fract_z
Rb1 0.127 0.250 0.008
Y1 0.101 0.750 0.689
Se1 0.062 0.750 0.285
Se2 0.203 0.250 0.482
O1 0.000 0.020 0.788
O2 0.026 0.750 0.468
O3 0.181 0.750 0.915
O4 0.205 0.021 0.603
```
-- stop --

== What to do ==
Your job: set down the whole of the calculation results further above exactly.

== Response ==
BaMgMo4O8: calculated XRD peak list (Cu Kα X-rays), based on a DFT-relaxed cell (GGA+U, Alexandria).
Peak positions follow from Bragg's law for the DFT cell and can differ from measured ones.

Peak list (10 most intense, 10° ≤ 2θ ≤ 90°, by angle)
21.68 deg, I = 244, (1 0 1); 24.41 deg, I = 122, (0 0 2); 30.43 deg, I = 720, (1 0 2); 31.25 deg, I = 1000, (1 1 0); 36.98 deg, I = 152, (0 0 3); 44.19 deg, I = 295, (2 0 2); 49.18 deg, I = 191, (1 1 3); 55.11 deg, I = 294, (2 1 2); 55.63 deg, I = 270, (3 0 0); 60.18 deg, I = 225, (2 -1 4)

Atomic structure:
Cell: 5.7236 5.7236 7.2923 Å, 90.00 90.00 120.00°
Positions (direct):
Ba (0.0000, 0.0000, 0.0000)
Mg (0.0000, 0.0000, 0.5000)
Mo (0.3333, 0.6667, 0.2819)
Mo (0.3333, 0.6667, 0.7181)
Mo (0.6667, 0.3333, 0.2819)
Mo (0.6667, 0.3333, 0.7181)
O (0.0000, 0.2929, 0.3218)
O (0.0000, 0.7071, 0.6782)
O (0.2929, 0.0000, 0.3218)
O (0.2929, 0.2929, 0.6782)
O (0.3333, 0.6667, 0.0000)
O (0.6667, 0.3333, 0.0000)
O (0.7071, 0.0000, 0.6782)
O (0.7071, 0.7071, 0.3218)


Entry 1:
# TiS2
Theoretical X-ray powder pattern, λ = 1.5418 Å (Cu Kα). Input: a crystal structure in the Materials Project, relaxed with PBE.

Crystal structure
```
data_TiS2
_chemical_formula_sum 'Ti3 S6'
_cell_length_a 3.4096
_cell_length_b 3.4096
_cell_length_c 25.8319
_cell_angle_alpha 90.00
_cell_angle_beta 90.00
_cell_angle_gamma 120.00
_symmetry_space_group_name_H-M 'R -3 m'
_symmetry_Int_Tables_number 166
_symmetry_space_group_name_Hall '-R 3 2"'
loop_
_atom_site_label
_atom_site_fract_x
_atom_site_fract_y
_atom_site_fract_z
Ti1 0.0000 0.0000 0.0000
S1 0.0000 0.0000 0.3885
```

The 6 most intense peaks (15° ≤ 2θ ≤ 90°), in order of rising 2θ:
| d/Å | intensity | index |
| --- | --- | --- |
| 2.878 | 42 | 0 1 2 |
| 2.564 | 100 | 0 1 5 |
| 2.179 | 49 | 0 1 8 |
| 1.944 | 32 | 1 0 10 |
| 1.705 | 28 | 1 1 0 |
| 1.672 | 26 | 1 1 3 |

Entry 2:
# Li2TiTe3O12
Theoretical X-ray powder pattern, λ = 1.5418 Å (Cu Kα). Input: a crystal structure in the Materials Project, relaxed with PBE.

Crystal structure
```
data_Li2TiTe3O12
_chemical_formula_sum 'Li4 Ti2 Te6 O24'
_cell_length_a 7.080
_cell_length_b 8.521
_cell_length_c 7.296
_cell_angle_alpha 90.00
_cell_angle_beta 92.65
_cell_angle_gamma 90.00
_symmetry_space_group_name_H-M 'P 1 2 1'
_symmetry_Int_Tables_number 3
loop_
_symmetry_equiv_pos_as_xyz
'x,y,z'
'-x,y,-z'
loop_
_atom_site_label
_atom_site_fract_x
_atom_site_fract_y
_atom_site_fract_z
Li1 0.000 0.000 0.000
Li2 0.000 0.448 0.500
Li3 0.266 0.326 0.757
Ti1 0.260 0.249 0.253
Te1 0.000 0.066 0.500
Te2 0.000 0.559 0.000
Te3 0.249 0.753 0.750
Te4 0.500 0.068 0.000
Te5 0.500 0.562 0.500
O1 0.016 0.735 0.190
O2 0.053 0.408 0.191
O3 0.056 0.082 0.247
O4 0.190 0.235 0.515
O5 0.196 0.904 0.555
O6 0.229 0.581 0.557
O7 0.267 0.580 0.938
O8 0.294 0.221 0.987
O9 0.298 0.906 0.945
O10 0.451 0.406 0.317
O11 0.453 0.085 0.254
O12 0.487 0.730 0.308
```

The 6 most intense peaks (15° ≤ 2θ ≤ 90°), in order of rising 2θ:
| d/Å | intensity | index |
| --- | --- | --- |
| 4.437 | 48 | 1 1 -1 |
| 4.288 | 100 | 1 1 1 |
| 2.769 | 33 | 0 2 2 |
| 2.721 | 32 | 2 2 0 |
| 2.492 | 16 | 1 3 -1 |
| 1.770 | 22 | 4 0 0 |

Entry 3:
# RbYSe2O6
Theoretical X-ray powder pattern, λ = 1.5418 Å (Cu Kα). Input: a crystal structure in the Materials Project, relaxed with PBE.

Crystal structure
```
data_RbYSe2O6
_chemical_formula_sum 'Rb4 Y4 Se8 O24'
_cell_length_a 14.028
_cell_length_b 5.862
_cell_length_c 8.950
_cell_angle_alpha 90.00
_cell_angle_beta 90.00
_cell_angle_gamma 90.00
_symmetry_space_group_name_H-M 'P n m a'
_symmetry_Int_Tables_number 62
loop_
_symmetry_equiv_pos_as_xyz
'x,y,z'
'-x,-y,-z'
'-x+1/2,-y,z+1/2'
'x+1/2,y,-z+1/2'
'x+1/2,-y+1/2,-z+1/2'
'-x+1/2,y+1/2,z+1/2'
'-x,y+1/2,-z'
'x,-y+1/2,z'
loop_
_atom_site_label
_atom_site_fract_x
_atom_site_fract_y
_atom_site_fract_z
Rb1 0.127 0.250 0.008
Y1 0.101 0.750 0.689
Se1 0.062 0.750 0.285
Se2 0.203 0.250 0.482
O1 0.000 0.020 0.788
O2 0.026 0.750 0.468
O3 0.181 0.750 0.915
O4 0.205 0.021 0.603
```